Advanced Letters of Credit

Advanced Letters of Credit

Course Information

1 Day Course

Fee: $880 (before GST)

Course Dates:

  • 15 April 2025
  • 15 May 2025
  • 19 June 2025

9.15am – 5pm

Contact: [email protected] 

Venue: Hotel (near MRT)


  • Tea breaks and buffet lunch will be served. Car park coupons are available upon request. 
  • For 3 pax and above, 10% discount across the board

Course Introduction

Materials data that have nothing to do with the text
/*
This record from Alexandria via LeMat-Bulk describes a relaxed structure of Pr3SmBi4. The functional is PBE-GGA.

a = 6.5319 Å, b = 6.5319 Å, c = 6.5319 Å
α = 90.00°, β = 90.00°, γ = 90.00°
With the nearest neighbours (Å) after each atom.
Element x y z (fractional)
Pr1 0.0000 0.0000 0.5000  6 Bi 3.27
Pr2 0.0000 0.5000 0.0000  6 Bi 3.27
Pr3 0.5000 0.0000 0.0000  6 Bi 3.27
Sm1 0.5000 0.5000 0.5000  6 Bi 3.27
Bi1 0.0000 0.0000 0.0000  6 Pr 3.27
Bi2 0.0000 0.5000 0.5000  2 Sm 3.27, 4 Pr 3.27
Bi3 0.5000 0.0000 0.5000  2 Sm 3.27, 4 Pr 3.27
Bi4 0.5000 0.5000 0.0000  2 Sm 3.27, 4 Pr 3.27

Output
* calculated formation energy: -955 meV/atom
* relative energy among the computed polymorphs: 0 meV/atom
* crystal system: cubic
* N(E_F): 0.47 states/eV/cell

This record from Alexandria via LeMat-Bulk describes a relaxed structure of PrSm2Bi2. The functional is PBE-GGA.

a = 6.5202 Å, b = 6.5542 Å, c = 8.3706 Å
α = 90.00°, β = 112.79°, γ = 90.00°
With the nearest neighbours (Å) after each atom.
Element x y z (fractional)
Pr1 0.0000 0.0000 0.0000  8 Bi 3.61-3.64
Pr2 0.5000 0.5000 0.0000  8 Bi 3.61-3.64
Sm1 0.0000 0.2508 0.5000  4 Bi 3.25, 4 Sm 3.26-3.29
Sm2 0.0000 0.7492 0.5000  4 Bi 3.25, 4 Sm 3.26-3.29
Sm3 0.5000 0.2492 0.5000  4 Bi 3.25, 4 Sm 3.26-3.29
Sm4 0.5000 0.7508 0.5000  4 Bi 3.25, 4 Sm 3.26-3.29
Bi1 0.1039 0.5000 0.2045  1 Bi 3.16, 4 Sm 3.25
Bi2 0.3961 0.0000 0.7955  1 Bi 3.16, 4 Sm 3.25
Bi3 0.6039 0.0000 0.2045  1 Bi 3.16, 4 Sm 3.25
Bi4 0.8961 0.5000 0.7955  1 Bi 3.16, 4 Sm 3.25

Output
* calculated formation energy: -506 meV/atom
* crystal system: monoclinic
* N(E_F): 9.22 states/eV/cell

~~~~~

Record 1
CsCuSnS3 (PBE, relaxed); energy above the most stable polymorph in this dataset = 0.34 eV per formula unit; symmetry = Pnma (62)
1.0
10.8028 0.0000 0.0000
0.0000 3.8646 0.0000
0.0000 0.0000 14.6642
Cs Cu Sn S
4 4 4 12
Cartesian
2.5759 0.9662 0.1474
2.8255 2.8985 7.4795
7.9773 0.9662 7.1847
8.2269 2.8985 14.5168
2.6048 2.8985 11.6010
2.7966 0.9662 4.2689
8.0062 2.8985 10.3953
8.1980 0.9662 3.0632
0.0532 0.9662 10.8498
5.3482 2.8985 3.5177
5.4546 0.9662 11.1464
10.7496 2.8985 3.8144
0.4230 2.8985 12.5947
0.7716 0.9662 5.3778
2.4828 0.9662 10.2666
2.9186 2.8985 2.9346
4.6298 2.8985 12.7099
4.9784 0.9662 5.2627
5.8244 2.8985 9.4015
6.1730 0.9662 1.9543
7.8842 0.9662 11.7296
8.3200 2.8985 4.3975
10.0312 2.8985 9.2864
10.3798 0.9662 2.0694

---

Record 2
Rb2ZrScS4 (PBE, relaxed); symmetry = P-3m1 (164); total energy = -5.75 eV per atom; total magnetization = 0.0000 μB/atom
1.0
3.8165 0.0000 0.0000
-1.9083 3.3052 0.0000
0.0000 0.0000 15.3117
Rb Zr Sc S
2 1 1 4
Cartesian
0.0000 2.2035 3.8014
1.9083 1.1017 11.5104
0.0000 0.0000 7.6559
0.0000 0.0000 0.0000
0.0000 2.2035 9.1354
0.0000 2.2035 13.9024
1.9083 1.1017 1.4094
1.9083 1.1017 6.1763

---

Record 3
Hf4InBiC2 (PBE, relaxed); symmetry = P-6m2 (187); total energy = -8.78 eV per atom; total magnetization = 0.0000 μB/atom
1.0
3.3729 0.0000 0.0000
-1.6865 2.9210 0.0000
0.0000 0.0000 14.6442
Hf In Bi C
*/

In today’s business world, understanding the finance and accounting knowledge is no longer an option for management and executives. Indeed, organizations will be able to perform better and achieve superior results if all staff in the organizations are able to apply relevant finance and accounting tools in their jobs and functions. Whether it is a new business or an existing one, cash flow management will always be a significant component contributing to the success of an enterprise’s operation. Therefore, this course is designed to discuss the main features of cash flow statement, the techniques and methods to develop cash flow budgeting, and interpret the performance of an organization using the cash flow statements. This one-day seminar also highlights the important considerations when performing cash flow budgeting and interpretation of cash flow statement.

Who Should Attend?

Managers and executives who do not work in accounting, but who need to know how basic accounting work, and apply accounting related techniques when making business decisions.

The article is interrupted by materials data =
<<<
Record 1
Here is a relaxed Mg3Be crystal from Alexandria via LeMat-Bulk. Energies are from PBE.

Output
Density of states at the Fermi level, states/eV per atom: 0.190
Final energy, eV/atom: -1.8482

Geometry as CIF:
```
data_Mg3Be
_space_group_name_H-M_alt 'P 1'
_space_group_IT_number 1
_cell_length_a 9.4594
_cell_length_b 9.4594
_cell_length_c 9.4594
_cell_angle_alpha 18.98
_cell_angle_beta 18.98
_cell_angle_gamma 18.98
loop_
_space_group_symop_operation_xyz
'x,y,z'
loop_
_atom_site_label
_atom_site_type_symbol
_atom_site_fract_x
_atom_site_fract_y
_atom_site_fract_z
Be1 Be 0.0000 0.0000 0.0000
Mg1 Mg 0.5000 0.5000 0.5000
Mg2 Mg 0.7353 0.7353 0.7353
Mg3 Mg 0.2647 0.2647 0.2647
```

***

Record 2
Here is a relaxed Mg4Be3 crystal from Alexandria via LeMat-Bulk. Energies are from PBE.

Output
ΔE to the lowest computed polymorph, eV per atom: 0.036
Density of states at the Fermi level, states/eV per atom: 0.319

Geometry as CIF:
```
data_Mg4Be3
_space_group_name_H-M_alt 'P 1'
_space_group_IT_number 1
_cell_length_a 13.0711
_cell_length_b 13.0711
_cell_length_c 13.0711
_cell_angle_alpha 167.14
_cell_angle_beta 167.14
_cell_angle_gamma 18.23
loop_
_space_group_symop_operation_xyz
'x,y,z'
loop_
_atom_site_label
_atom_site_type_symbol
_atom_site_fract_x
_atom_site_fract_y
_atom_site_fract_z
Be1 Be 0.2673 0.2673 0.0000
Mg1 Mg 0.8389 0.8389 0.0000
Mg2 Mg 0.1611 0.1611 0.0000
Be2 Be 0.7327 0.7327 0.0000
Mg3 Mg 0.5648 0.5648 0.0000
Be3 Be 0.0000 0.0000 0.0000
Mg4 Mg 0.4352 0.4352 0.0000
```
>>>
The article goes on =

Course Outlines

1. Common pitfalls in LC operations
2. Misconception of the role of sales/marketing team
3. Instalment shipment vs partial shipment
4. Presentation period
5. Forged LCs
6. Consignee trap on airway bill
7. 10% retention sum
8. Buyer receives all the documents under the LC, but goods may differ
9. Claused bills of lading
10. LC expired
11. Absence of documents called for in the LC
12. Insurance cover effective date
13. Combined transport document pitfalls
14. Bills of lading confusion pitfalls
15. Specific ports of lading and discharge
16. Transport document signing capacity pitfalls
17. House airway bill pitfalls
18. Qualified LCs
19. Special conditions in LCs
20. Groundnuts vs peanuts
21. Soft clauses in LCs
22. FOB pitfalls
23. Incoterms pitfalls
24. Incompatible terms in LCs
25. Issuing bank wishes to protect itself
26. Terms and conditions dominated by a powerful seller
27. Inspection certificate trap
28. LC charges pitfalls
29. Expiry date and place of presentation trap

Trainer Profile

Financing international trade is a risky business, this seminar helps traders to interpret the risks, and shows them how to protect themselves. As traders don’t have to work long in the business to realize that international trade is not just about buying and selling. It involves international transport, and that means putting cargoes in the hands of transport operators who are sometimes unscrupulous or under-capitalised. So this seminar will illustrate the risks and fraud possibilities on how buyers and sellers are the losers as well as how buyers and sellers collaborate to cheat Banks and Insurance companies. Fraudsters and unscrupulous traders can abuse these weakness to the detriment of exporters, importers, bankers and shipping agents. The course will share with participants many practical case studies collected through many years of research as well as through contacts with exporters and importers and bankers during numerous public seminars conducted over the last 12 years. It is therefore imperative for all those using letters of credit to be aware of the risks and frauds to prevent loss, and learn from past leading court cases.